A horrible evening followed a truly hideous afternoon here in pheromone land. If it weren't for best friends like Riot Kitty, the world may come to a screeching halt. Or, a gallon of ice cream might be consumed under the covers.
BUT NO! A new solution has appeared on my horizon and I have developed a new, improved alter ego. And she's badass.
What Would Betty Do? Yes, boys and girls, Betty Page - that maven of rubberized clothing, long before her time a gothic princess in white face and red lips. She kicked butt back in the day - and took crap off nobody. I want to be like her when I grow up mommy! Check it out...
1) Your boss yells at you. Your coworkers snicker behind your back. You have to take ugly, creepy carpet salesmen to lunch and end up groped against your will. Mild mannered Pheromone Girl would only report it to her boss and ask to not have to talk to said creep again. BUT NO! Enter Betty, ruler of her own domain and a couple belonging to strangers.
REWIND: Creepy carpet guy starts his hijinx. Out comes the Betty in you and you smack him in the head with a margarita glass the size of a rhino and laugh all the way out the door. Wow, that felt good.
2) Your children are whiny and annoying. A lot. They won't do what they're told or leave each other alone or even get out of bed sometimes. You try to reason with them and they ignore it. You go to bed, frustrated that they're too old to spank. Or leash.
REWIND: Kids are whining, smacking each other and basically behaving like cave people. Out comes Betty, roaring like a lion, and the kids are so scared you don't even have to crack the actual whip. Twice. But you do it anyway, because you're Betty.
3) You're having a bad day. Yeah, nobody has cancer and everyone has enough to eat, at least for now, and you shouldn't have anything to complain about. But someone to talk to would be nice. However, the male figure that's supposed to take that role is too busy wallowing in his own muck. Spend hours reaching out, sending little messages and being oh-so-syrupy sweet, all the while seething that you are invisible. Designate yourself as invisible in your facebook status. After continuing to be ignored (hello??? anybody out there???), go to sleep and pout.
REWIND: Poor me, boo hoo, life sucks.... and here comes Betty. She shares her bustier collection, paints your toenails black and reminds you that sometimes, you just need the girls. (Go Betty!!)
4) Stupid dog walkers at your park decide to let their dog off leash. Isn't that cute? Except that its making a mess of the duck pond, eating all the flowers and terrifying the ducklings on the bank and basically making a nuisance of itself. You try to be reasonable and talk to the owners with no luck. Go inside and debate the merits of living in a high rise.
REWIND: Betty emerges, leash in hand, and proceeds to tie the dog to the pole in the center of the casting pond. Owner has a choice - wade out about 50 feet in unsanitary, green, slimy water to rescue the dog paddling pet or let it drown. Betty recommend the latter. One less golden retriever in Portland would be no big loss.
5) At a meeting, a stupid, bigoted, slightly insane person starts threatening you and spewing toxic garbage. You spend the next ten minutes getting the meeting back to order and trying to get the moron to shut up. A martini is the only thing that saves your sanity.
REWIND: As the idiot starts to scream at you, Betty enters quietly from the laundry room. The stupid little bigoted bitch doesn't see the whip coming, but she'll feel the welt when she wakes up tomorrow.
Oh, my. I like this Betty. And talking about her just makes me feel better. I think I'll save her for next time and ask myself "What would Betty do?"
After reading this sweet little post (which I LOVE!) I'm heading to South Beach to buy myself a top-of-the-line Betty whip...PRONTO! Oh, yeah!!
ReplyDeleteGo, Betty! She's an inspiration to us all. ;)
## Materials data from another source follow
Record 1
First-principles (PBE) data for a geometry-optimized RbW3Cl9 structure, as listed in Materials Project.

POSCAR file:
```
RbW3Cl9
1.0
-5.850 7.112 -2.771
-2.832 -9.154 -0.826
-3.368 0.325 7.942
Rb W Cl
2 6 18
Direct
0.667 0.333 0.443
0.333 0.667 0.557
0.832 0.813 0.873
0.813 0.982 0.127
0.018 0.832 0.127
0.982 0.168 0.873
0.168 0.187 0.127
0.187 0.018 0.873
0.037 0.633 0.301
0.759 0.172 0.998
0.828 0.587 0.998
0.189 0.210 0.689
0.210 0.021 0.311
0.979 0.189 0.311
0.963 0.367 0.699
0.021 0.811 0.689
0.811 0.790 0.311
0.587 0.759 0.002
0.633 0.596 0.699
0.413 0.241 0.998
0.790 0.979 0.689
0.172 0.413 0.002
0.596 0.963 0.301
0.404 0.037 0.699
0.367 0.404 0.301
0.241 0.828 0.002
```

SG	No. 147
ρ	4.59	Mg/m³
energy of formation from the pure elements	-1.38	eV/atom


Record 2
First-principles (PBE) data for a geometry-optimized RbWCl6 structure, as listed in Materials Project.

POSCAR file:
```
RbWCl6
1.0
3.212 6.099 0.000
-3.212 6.099 0.000
0.000 2.580 12.115
Rb W Cl
2 2 12
Direct
0.881 0.119 0.750
0.119 0.881 0.250
0.500 0.000 0.500
0.000 0.500 0.000
0.463 0.699 0.603
0.537 0.301 0.397
0.301 0.537 0.897
0.699 0.463 0.103
0.371 0.201 0.659
0.629 0.799 0.341
0.799 0.629 0.841
0.201 0.371 0.159
0.795 0.894 0.040
0.205 0.106 0.960
0.106 0.205 0.460
0.894 0.795 0.540
```

SG	No. 15
ρ	3.37	Mg/m³
energy of formation from the pure elements	-1.61	eV/atom


Record 3
First-principles (PBE) data for a geometry-optimized Rb2YCl5 structure, as listed in Materials Project.

POSCAR file:
```
Rb2YCl5
1.0
7.475 0.000 0.000
0.000 9.611 0.000
0.000 0.000 14.883
Rb Y Cl
8 4 20
Direct
0.250 0.663 0.917
0.750 0.337 0.083
0.750 0.837 0.417
0.250 0.163 0.583
0.250 0.978 0.212
0.750 0.022 0.788
0.750 0.522 0.712
0.250 0.478 0.288
0.250 0.682 0.566
0.750 0.318 0.434
0.750 0.818 0.066
0.250 0.182 0.934
0.250 0.521 0.707
0.750 0.479 0.293
0.750 0.979 0.207
0.250 0.021 0.793
0.510 0.838 0.618
0.490 0.162 0.382
0.490 0.662 0.118
0.010 0.162 0.382
0.510 0.338 0.882
0.990 0.838 0.618
0.990 0.338 0.882
0.010 0.662 0.118
0.250 0.786 0.400
0.750 0.214 0.600
0.750 0.714 0.900
0.250 0.286 0.100
0.000 0.500 0.500
0.000 0.000 0.000
0.500 0.500 0.500
0.500 0.000 0.000
```

SG	No. 62
ρ	2.72	Mg/m³
energy of formation from the pure elements	-2.54	eV/atom


Record 4
First-principles (PBE) data for a geometry-optimized RbY2Cl7 structure, as listed in Materials Project.

POSCAR file:
```
RbY2Cl7
1.0
-0.637 -0.484 6.982
9.029 -8.977 0.201
9.497 9.587 1.532
Rb Y Cl
4 8 28
Direct
0.250 0.804 0.041
0.750 0.196 0.959
0.750 0.304 0.459
0.250 0.696 0.541
0.250 0.460 0.237
0.750 0.540 0.763
0.750 0.960 0.263
0.250 0.040 0.737
0.250 0.157 0.250
0.750 0.843 0.750
0.750 0.657 0.250
0.250 0.343 0.750
0.010 0.307 0.176
0.990 0.693 0.824
0.990 0.807 0.324
0.510 0.693 0.824
0.010 0.193 0.676
0.490 0.307 0.176
0.490 0.193 0.676
0.510 0.807 0.324
0.011 0.578 0.124
0.989 0.422 0.876
0.989 0.078 0.376
0.511 0.422 0.876
0.011 0.922 0.624
0.489 0.578 0.124
0.489 0.922 0.624
0.511 0.078 0.376
I wouldn't want to mess with Betty!!
ReplyDeleteAmen sister! I think we've found your action figure. You and I need to take a trip to Things From Another World real soon!
ReplyDeleteYay Betty!! I love the lion's roar with the kids! I need Betty over at my house.
ReplyDeleteI like the Betty in you! Yeah! Crack that whip!
ReplyDeleteA little Betty is definitely in order. Just to, I don't know, reason with these people, in a gentle and non-confrontational way. At first. LOL.
ReplyDelete(((((((((((Pheromone Girl)))))))))))))
Scarlet: I'll be expecting photos.
ReplyDeleteJoe: Neither would I!
RK: Ooh. Action figure shopping!!
Dawn: She's got a mean bark, that's for sure.
Mark: Thanks! I'm too nice sometimes and I think Betty will be good for me!
Blossom: Thank you, honey. I got the hug and the call from Rabies. ((((((((((FB))))))))))
A guy from Boston gets a little fresh and out comes the betty whip...but guess what? he likes it!
ReplyDeleteGo Betty Go!
ReplyDeleteOkay, so the REWIND portion didn't actually happen did it? If you did behave as Betty, then I assume there is a warrant out for your arrest or they already have you in custody. Regardless, Betty is cool and we all need a bit of Betty Badass in our multiple personality disorders.
ReplyDeleteLOL, well written. I'm not sure if I have an inner Betty, maybe I have an inner Jack Bauer.
ReplyDeletep.s. where did your links go? I was going to check on Rabies but don't see the link?
ReplyDeleteI think Granny Annie is on to something; there should be no arrest warrant in those situations. When someone breaks decency or the law (or both) there SHOULD be repercussions. Sexual assault, public nuisance...those things are illegal for a reason. Go go gadget Betty.
ReplyDeletePhil - An inner Jack Bauer... haha good one.
ReplyDeleteBetter solution to the dog problem at the park. Leash the owner to the post in the middle of the casting pond, and take the dog home.
ReplyDeleteWhy do people always blame the dog for being a dog? I mean who's supposed to be in charge of that arrangement anyway? In any case, why drown the dog when the owner's the ass?